Matryoshka Off-Limits

Chapter 137: Horror will happen


After discovering that Frank's patients were also there, Wen Shi began to be interested in the number of readers.

He needed the monsters to spread the word and attract more and more patients, which would be helpful for extracting information later. Several players in the hotel also brought electronic watches, so the NPCs who were watching their performance would definitely see him.

Faced with such a suicidal behavior, it is estimated that many people would climb over the wall to come to their own reading area.

With a quick glance, I saw that there were indeed more messages on the electronic watch.

[It's ok for someone to run away, but this is the first time I've seen someone seeking death.]

[Me too... Anyway, I can't wait to see him die. This is the first time I'm looking forward to the story of "The Eagle".]

"Sir, where are you going?" The master's voice sounded enthusiastic.

Wen Shi studied his phone and said, "A love hotel with a mirror theme."

The task only said that we had to stay overnight in a hotel, but there was no restriction on which hotel.

The taxi driver's smile froze for a moment.

"Please drive faster."

The game was very precise, and the [One Night] timer would officially start after midnight, so he had to be at the hotel by that time.

Knowing that the destination was a bit far away, Wen Shi asked the driver to speed up twice on the road. The driver was annoyed and thought, he was not in a hurry to be reincarnated, so why was he urging him

"Hurry up, I'll catch you cheating."

The driver stepped on the accelerator and the car sped up.

Wen Shi only had one phone on him, and he couldn't access the social apps yet, but fortunately the payment app worked, with 20,000 yuan in change alone. He checked the payment method and confirmed that fingerprint payment was enabled.

He then found the electronic ID, and the name column showed that his name in this copy was Lin Hejing.

It’s forest, harmony and scenery!

Wen Shi was about to cry, and finally stopped calling Aaron.

The taxi driver saw this scene through the rearview mirror and completely believed the lie of catching the adulterer.

Compared to Wen Shi’s current appearance, the electronic ID photo makes him look a little older, with deeper eye sockets and more mature and charming facial lines.

There is also a warm reminder in the lower right corner of the certificate: [Electronic certificates have the same legal effect as ordinary certificates.]

At 11:50, the taxi finally arrived at the Mirror Hotel, the most famous hotel in the city, as he requested.

The colorful flashing lights were dazzling, and almost every passerby took a look inside. After paying the money, Wen Shi strode inside.

Several couples were waiting to register. Now was not the time to follow the first-come-first-served rule. Wen Shi walked to the front as if no one was around and said, "Let's get a room."

The couple who were cut in line suddenly became furious. They had never seen such a shameless queue cutter.

The tattooed man rolled up his sleeves and was about to teach Wen Shi a lesson when he heard him say, "The more mirrors in the room, the better."

If you need condoms or something, you have to buy them at the front desk. Customers who come to check in usually take one. Wen Shi pushed the items on sale at the counter aside with some disdain: "I'm alone, I don't need these things."

one person

The people in the queue behind had no idea about being cut in line. The only question left in their minds was: How can one play alone

Another two minutes passed, and Wen Shi tapped the table with his fingers. Facing the puzzled receptionist, he said, "Is it not okay to have fun alone?"

The front desk clerk came to his senses and quickly checked him in.

After finishing the process, the receptionist stole a few glances at him. Not only her, but all the guests turned their heads and watched Wen Shi enter the elevator.

When the outer door closed, Wen Shi met these astonished gazes and mouthed, "Single romance, you don't understand."

The elevator stopped at the fourth floor.

There are not many rooms on this floor. Wen Shi’s room number is [406], which happens to be the innermost room.

The hotel costs 800 yuan a night, which is considered high consumption. It is worth the money. After the door is opened, the overall environment inside is much better than the previous one. Its decoration fits the theme very well, and there is even a huge mirror installed on the ceiling.

[Patient 109: I don’t understand why we need to install a mirror on the ceiling.]

[Patient No. 144: Do you want to @ the sex addict on the third floor? ]

[Scavenger: It's been a while since I've seen any patients from Frank Hospital.]

More than a dozen monsters came in one after another, all ready to see how Wen Shi would die.

It's eleven fifty-five.

Wen Shi took the time to study the layout of the room, looking for the most suitable place to sleep. He pushed open the mirror doors and found many hidden cabinets, including a dark room. After entering, there was only a hammock surrounded by dazzling mirrors.

So many unique little designs!

"One thousand is not too much."

Wen Shi was very satisfied and took out the [bell] that could ward off evil spirits and put it on himself. After closing the door, he took out the [small lantern] for lighting.

After the lantern was smashed once in the castle, the light intensity was very average. The floor in the darkroom was reflective, reflecting the shadow of the young man from all directions, and the bell on his slender neck was particularly eye-catching. Once the door was closed, the darkroom began to become stuffy. Wen Shi casually unbuttoned one of the buttons on his collar, and then lay directly on the hammock. When his thin body swayed gently with the hammock, the monsters in the reading area deeply suspected that this was an attempt to seduce them with beauty.

Haha, childish.

It may be childish, but no monster has left for the time being, so Wen Shi's seemingly suicidal behavior of staying and watching is very effective.

"Will you come tonight..." Wen Shi leaned against [Hug Bear], hummed a little tune, and lay on the hammock with his eyes closed to rest.

The only way for evil spirits to enter here is through the mirror. The battle record halo can help him dodge 70% of the mirror monsters. Combined with luck and evil spirit protection, it is unlikely that he will have a head-on collision with the evil spirit tonight.

Forced by life, he has now started to live frugally. In the past, when he encountered such a killing at the beginning, he would definitely summon the zombies without hesitation. Now he has learned to save blood, after all, potions are not cheap.

Before he knew it, it was past midnight. Even though he was swinging in the hammock, Wen Shi soon felt sleepy and finally fell into a deep sleep.

At midnight, the isolated little room was exceptionally quiet.

A stuffed bear stood beside the hammock wire rope, its two small round black eyes now all turned scarlet. The stuffed bear looked at the young man sleeping on the bed, and finally patted his belly twice with its paws. Wen Shi, who had already developed an alert state, immediately opened his eyes.


Facing a huge bear face, Wen Shi stood up with a somersault and was almost sent away.

For the first time, he realized that the bear could stand up.

The teddy bear showed no guilt for scaring people. It pointed its arm in the direction of the door. Wen Shi looked over and saw a fishy liquid slowly flowing in through the crack in the door. Part of the water flowed through where he put his shoes, and the direction of the shoe surface shifted. It seemed that the water wanted to push the tip of the shoe towards the hammock.

Wen Shi looked at it quietly for two seconds, pulled out the bedding from the hammock in the room, blocked the gap in the door tightly, then put his shoes on the other side, turned around and went to bed to continue sleeping.

These tricks mean that it is a little difficult for evil spirits to come in directly, so there is nothing to worry about.

Before going to bed, Wen Shi looked at the electronic watch and found that the number of readers was currently ninety-four.

His expression was indescribable: "Why are you still here?"

Wen Shi already had some understanding of the nature of these monsters. The more he went along with them, the more boring they found him.

Nothing happened overnight.

There was no light in the dark room, and when Wen Shi woke up the next day, it was already eight o'clock. He slept well, and except for a sore throat, he had no additional discomfort. The wet sheets that blocked the door were piled on the floor, and Wen Shi picked them up and put them on the edge of the bathtub while washing.

The number of readers remains ninety-four.

“…” So stubborn.

Wen Shi had just woken up a little after washing his face when the first reminder sound of the day rang out:

"Side quest - Accommodation completed."

"You can now use the mobile memo."

I unlocked a mobile app that didn't work yesterday, and there was only one message in the memo:

Go to an orphanage.

Address: No. 114 Qinghua Street.

Between two parts of the article: quantum chemistry results.
/*
Entry 1:
An isolated molecule of C7H14. Source: the OMol25 dataset; level of theory: ωB97M-V with the def2-TZVPD basis set.

Results
**Energy relative to the best compared isomer or geometry (same formula, charge and spin)**: 359.4 kJ/mol
**Kohn-Sham gap**: 8.2 eV
**Lowest unoccupied orbital energy**: 0.0124 Eh

Last columns: bonded neighbours and bond lengths (Å).
Cartesian coordinates (Å):
1 C 0.164 2.694 0.961  C2 1.527, H8 1.097, H9 1.097, H10 1.096
2 C 0.898 1.500 0.354  C1 1.527, C3 1.540, H11 1.098, H18 1.096
3 C 0.300 0.142 0.768  C2 1.540, C4 1.553, H12 1.099, H13 1.099
4 C 0.639 -1.023 -0.201  C3 1.553, C5 1.538, C6 1.504, H14 1.099
5 C 0.063 -2.359 0.299  C4 1.538, H15 1.095, H16 1.096, H17 1.096
6 C 0.155 -0.573 -1.552  C4 1.504, C7 1.482
7 C -1.314 -0.690 -1.715  C6 1.482, H19 1.096, H20 1.103, H21 1.107
8 H -0.883 2.709 0.637  C1 1.097
9 H 0.178 2.667 2.058  C1 1.097
10 H 0.619 3.638 0.639  C1 1.096
11 H 1.956 1.532 0.642  C2 1.098
12 H 0.649 -0.133 1.773  C3 1.099
13 H -0.794 0.227 0.842  C3 1.099
14 H 1.733 -1.115 -0.231  C4 1.099
15 H -1.010 -2.301 0.512  C5 1.095
16 H 0.216 -3.152 -0.444  C5 1.096
17 H 0.568 -2.670 1.220  C5 1.096
18 H 0.882 1.590 -0.738  C2 1.096
19 H -1.719 0.113 -2.342  C7 1.096
20 H -1.961 -0.851 -0.835  C7 1.103
21 H -1.381 -1.594 -2.351  C7 1.107

---

Entry 2:
An isolated molecule of C7H14. Source: the OMol25 dataset; level of theory: ωB97M-V with the def2-TZVPD basis set.

Results
**Energy relative to the best compared isomer or geometry (same formula, charge and spin)**: 85.2 kJ/mol
**Kohn-Sham gap**: 11.1 eV
**SMILES string**: CC(C)(C)C1CC1
**Lowest unoccupied orbital energy**: 0.0363 Eh

Last columns: bonded neighbours and bond lengths (Å).
Cartesian coordinates (Å):
1 C -0.746 1.655 0.652  C2 1.536, H8 1.097, H9 1.097, H10 1.097
2 C -0.514 0.210 0.186  C1 1.536, C3 1.534, C4 1.552, C5 1.532
3 C -0.988 0.092 -1.269  C2 1.534, H11 1.096, H12 1.096, H13 1.097
4 C -1.317 -0.775 1.076  C2 1.552, H14 1.099, H15 1.096, H16 1.095
5 C 0.980 -0.089 0.345  C2 1.532, C6 1.499, C7 1.498, H17 1.091
6 C 1.988 0.019 -0.760  C5 1.499, C7 1.510, H18 1.087, H19 1.086
7 C 1.622 -1.331 -0.193  C5 1.498, C6 1.510, H20 1.087, H21 1.087
8 H -0.472 1.776 1.707  C1 1.097
9 H -0.137 2.353 0.063  C1 1.097
10 H -1.799 1.944 0.543  C1 1.097
11 H -2.074 0.234 -1.318  C3 1.096
12 H -0.526 0.853 -1.908  C3 1.096
13 H -0.767 -0.895 -1.693  C3 1.097
14 H -0.645 -1.405 1.675  C4 1.099
15 H -1.981 -0.248 1.771  C4 1.096
16 H -1.940 -1.448 0.479  C4 1.095
17 H 1.345 0.218 1.325  C5 1.091
18 H 1.638 0.243 -1.765  C6 1.087
19 H 2.966 0.431 -0.530  C6 1.086
20 H 2.345 -1.848 0.432  C7 1.087
21 H 1.023 -1.989 -0.818  C7 1.087

---

Entry 3:
An isolated molecule of C7H14. Source: the OMol25 dataset; level of theory: ωB97M-V with the def2-TZVPD basis set.

Results
**Energy relative to the best compared isomer or geometry (same formula, charge and spin)**: 320.3 kJ/mol
**Kohn-Sham gap**: 8.7 eV
**SMILES string**: C[C@@H]1[C@H](C)C1(C)C
*/

Since the dungeon prompts that there is a competitive relationship, the sooner the better. So far, Wen Shi has not seen any of the players except those in the lobby. He has not even seen the shadows of the young man and Pei Hongxin who went to the dungeon together.

"Could it be that everyone is in different short stories?"

Then didn't he come here for loneliness? !

Wen Shi quickly ruled out this view. The copies couldn't be so divided. There must be a certain track where everyone's stories would be connected.

I went downstairs promptly to check out, but the receptionist couldn't help but steal a glance at Wen Shi, as he was the first self-service guest since the hotel opened.

I saw this person, who looked very energetic and typing with very nimble fingers, giving the hotel a five-star rating.

[Awesome! The darkroom is even better! I will come back next time if I have the chance.]

front desk:"… "

After checking out of the room, Wen Shi went out and immediately rented it out.

The driver I met today was not as friendly as last night. After hearing where he was going, he said with a gloomy face, "Add more money, fifty more."

The balance in the coin purse was enough to support the player for a while, and living expenses were not a problem that would test the player. Wen Shi nodded generously and agreed: "I'll give you an extra hundred. Can you tell me about the situation there?"

The driver's face looked better after the money was paid. "There's nothing much to say. A few years ago, an orphanage on Qinghua Road suffered a fire. It is said to be haunted."

Wen Shi nodded when he heard this: "I see."

According to the mechanism of the copy, it would be strange if the place the player is going to is not haunted.

The taxi drove all the way to a very remote place, and there were few trees visible outside the car window. Just when Wen Shi was wondering if he was going to be taken away and sold, the car braked suddenly and he almost hit his forehead on the guardrail.

Driver: “We’re here.”

This was almost a suburb, and the weather was gloomy. When Wen Shi looked outside, the driver who was waiting to take the order said unhappily, "Pay up and leave."

Almost as soon as he got out of the car, Wen Shi smelled a burnt smell.

The taxi drove away in a cloud of dust, and the exhaust fumes hit Wen Shi's face.

After looking around, he walked towards the only place where he could see buildings. Although the fire had been over for a long time, the smell of burning became stronger as he walked forward. Wen Shi seemed to be indifferent and said, "It seems like a place worth looking forward to."

The excitement he revealed made him disguise himself as a perfect pervert.

Next to the entry, the page also holds data records >
This record from the Open Molecules 2025 dataset describes a single C4H6N2O2 molecule at a distorted geometry. The level of theory is wB97M-V/def2-TZVPD.

Geometry as ORCA input:
```
! wB97M-V def2-TZVPD RIJCOSX def2/J DEFGRID3
* xyz 0 1
C 0.88017 0.25317 -3.62636
N 0.97499 0.81526 -2.40857
N -0.02929 0.09158 -1.61143
C -0.27834 0.53885 -0.45600
C -0.42918 -0.29871 0.94274
O -0.46413 -1.54784 1.06097
O -0.17585 0.51878 1.96045
C -0.43851 -0.16385 3.34432
H -0.06244 -0.59956 -3.64200
H 1.84272 0.37642 -4.34302
H -0.31276 1.54127 -0.07086
H 0.05448 -1.20168 3.22912
H -1.47263 -0.52755 3.28149
H 0.04568 0.31900 4.28577
*
```

Values from the calculation:
DFT total energy in Eh: -415.82796
Relative energy (zero: lowest compared OMol25 entry of this formula, charge and spin) in kcal per mole: 133.45

This record from the Open Molecules 2025 dataset describes a single CH2IOP molecule at a distorted geometry. The level of theory is wB97M-V/def2-TZVPD.

Geometry as ORCA input:
```
! wB97M-V def2-TZVPD RIJCOSX def2/J DEFGRID3
* xyz 0 1
O 1.52914 0.62513 0.68355
C 0.42144 0.38461 0.46607
P -0.49411 -0.97732 -0.33292
I -2.51268 0.04162 -0.65418
H -0.47895 1.30291 0.77384
H -0.83271 -1.37496 1.04312
*
```

Values from the calculation:
DFT total energy in Eh: -753.53910
Relative energy (zero: lowest compared OMol25 entry of this formula, charge and spin) in kcal per mole: 21.12

This record from the Open Molecules 2025 dataset describes 2 unconnected molecules or ions with the total composition C4H8O2. The level of theory is wB97M-V/def2-TZVPD.

Geometry as ORCA input:
```
! wB97M-V def2-TZVPD RIJCOSX def2/J DEFGRID3
* xyz 0 1
C 1.46578 -0.11912 -0.19169
C 0.24879 -0.24021 0.70691
C -0.49986 1.07220 0.88345
O -0.19166 2.10163 0.33791
C -0.74357 -1.29064 0.23146
O -0.62529 -1.91239 -0.79405
H 2.02451 -1.05855 -0.20632
H 1.16386 0.11185 -1.21580
H 2.12148 0.68186 0.15869
H 0.52816 -0.54839 1.72978
H -1.37620 1.03061 1.56619
H -1.61440 -1.45934 0.90134
H -1.20084 1.10160 -1.99623
H -1.33551 0.39411 -2.18288
*
```

Values from the calculation:
DFT total energy in Eh: -307.62957
Relative energy (zero: lowest compared OMol25 entry of this formula, charge and spin) in kcal per mole: 51.99

This record from the Open Molecules 2025 dataset describes a single C4H5NO molecule at a distorted geometry. The level of theory is wB97M-V/def2-TZVPD.

Geometry as ORCA input:
```
! wB97M-V def2-TZVPD RIJCOSX def2/J DEFGRID3
* xyz 0 1
C 1.16294 -1.24415 -0.20212
C 0.06476 -0.24650 0.07449
C -0.38919 0.32081 1.21663
O -1.30511 1.31852 0.72143
C -1.25125 1.32645 -0.68814
N -0.54559 0.32019 -1.05447
H 1.59993 -0.73427 -0.97759
H 0.80982 -2.21662 -0.57652
H 1.87558 -1.28189 0.65942
H -0.22526 0.39076 2.21924
H -1.79663 2.04670 -1.39237
*
```

Values from the calculation:
DFT total energy in Eh: -285.36479
Relative energy (zero: lowest compared OMol25 entry of this formula, charge and spin) in kcal per mole: 31.24

A cold system prompt sound suddenly sounded:

"You have successfully saved your first novel "The Eagle", please keep up the good work and get into the story as soon as possible."

Wen Shi kept moving forward. According to this setting, as long as he could complete the story setting, the rescue would be considered a success.

One of the ways of falcon training is to keep the falcon awake, as the name suggests.

I am a resident who is harassed by evil spirits and cannot fall asleep, just like the eagle. As long as I can fall asleep successfully, the chapter will be completed. Thinking about it this way, it seems that the difficulty is very average.

He loves C-Class!

The beep continues:

"The protagonist of the chapter "Staying the Eagle" has been successfully determined, and all the remaining players in the same chapter have been eliminated."

“The electronic screen function is complete.”

"Please try to keep the number of readers above fifty. If the number of readers is less than fifty, your rationality value will decrease."

The system's few words cleared the ease in Wen Shi's expression in an instant. Now that there was no one around, he didn't need to hide his expression. The gloom in his eyes was comparable to the gloomy weather.

There is only one protagonist, so someone else's victory can become a condition for your elimination at any time.

Wen Shi took a deep breath and forced himself to focus on the electronic screen.

-- Data records from another source follow --
=====
Record 1
C13H52N14O13 | the ωB97M-V functional and the def2-TZVPD basis

```
! wB97M-V def2-TZVPD RIJCOSX def2/J DEFGRID3
* xyz 1 2
C 21.5095 23.7790 -4.7617
O 22.7608 23.2885 -4.8718
H 21.2682 24.2763 -3.8223
H 21.2252 24.6063 -5.4120
H 20.8397 22.9684 -5.0492
H 22.8569 22.3859 -4.5594
C 23.8523 23.9674 -0.9503
O 24.1818 22.6114 -1.0287
H 24.4167 24.3230 -1.8124
H 22.8042 24.1635 -1.1760
H 24.2203 24.4904 -0.0677
H 24.2939 22.3859 -1.9551
C 19.0047 26.7579 -7.0772
O 18.8827 28.1323 -7.4538
H 18.9269 26.1035 -7.9455
H 20.0056 26.5457 -6.7016
H 18.1915 26.4657 -6.4128
H 19.5578 28.4322 -8.0669
C 24.7635 20.1536 -3.4841
O 24.5343 21.5010 -3.6062
H 23.9504 19.5651 -3.0590
H 24.9805 19.6678 -4.4354
H 25.6196 20.0300 -2.8208
H 25.2566 21.9901 -4.0071
C 19.9186 24.0486 -0.1850
O 19.8485 24.5293 -1.5421
H 19.5630 23.0233 -0.0835
H 20.8815 24.2635 0.2783
H 19.2305 24.7564 0.2773
H 20.3359 25.3474 -1.6638
C 22.4388 27.4595 -5.9011
O 23.7798 27.6550 -5.3727
H 22.4853 27.5648 -6.9850
H 21.9465 26.6260 -5.4002
H 22.0790 28.3295 -5.3518
H 23.8648 28.5318 -4.9912
C 24.3368 20.3738 -8.4473
O 23.8394 19.3750 -8.9103
N 24.8689 21.2169 -9.1467
N 24.0468 20.8296 -7.3060
H 24.8554 21.0045 -10.1340
H 25.2354 22.0687 -8.7464
H 24.3634 21.7514 -7.0410
H 23.5944 20.1211 -6.7461
C 21.0898 19.8187 -1.0012
O 20.7310 19.5547 0.1549
N 21.9904 20.6802 -1.3847
N 20.5417 19.3517 -2.0942
H 22.5440 21.1907 -0.7116
H 22.1488 20.8923 -2.3594
H 20.7429 19.6877 -3.0251
H 19.9671 18.5215 -2.0699
C 20.9393 19.8416 -5.3669
O 21.6082 20.3047 -4.4941
N 20.2610 18.7543 -5.2686
N 20.6709 20.3571 -6.5248
H 20.2506 18.2669 -4.3840
H 19.8089 18.2984 -6.0482
H 21.1906 21.1923 -6.7538
H 20.3239 19.6842 -7.1933
C 22.3929 27.1669 -2.1827
O 21.4044 26.6934 -1.6518
N 22.5907 28.4496 -2.2793
N 23.4402 26.5314 -2.7150
H 23.3823 28.8980 -2.7178
H 21.7197 28.9604 -2.3037
H 23.6473 25.5556 -2.5570
H 24.0731 27.2105 -3.1129
C 16.9546 22.6096 -7.1883
O 16.6016 22.3517 -8.2917
N 17.6984 23.5629 -6.8335
N 16.9137 21.7617 -6.2617
H 18.1675 23.3080 -5.9762
H 18.0952 24.0211 -7.6414
H 17.3884 21.8988 -5.3808
H 16.3215 20.9798 -6.5024
C 25.0718 24.6583 -7.4824
O 25.1627 23.4960 -7.6876
N 24.4200 25.1761 -6.4344
N 25.4230 25.5964 -8.2926
H 23.6937 24.6237 -6.0014
H 24.2991 26.1788 -6.4451
H 25.1348 26.4530 -7.8417
H 25.9435 25.5022 -9.1531
C 17.2537 25.0947 -3.7597
O 16.5687 25.5484 -4.6432
N 18.3038 25.6921 -3.2672
N 17.0191 23.9858 -3.2214
H 18.4778 26.6596 -3.4988
H 18.8945 25.2011 -2.6113
H 16.1644 23.5520 -3.5400
H 17.7476 23.5502 -2.6739
*
```

The HOMO-LUMO gap (alpha / beta) is 8.16 / 2.09 eV. As for the expectation value of S²: 0.75. The HOMO energy (alpha / beta) comes out at -0.402 / -0.402 Ha.

=====

Record 2
C29H16BrF5N4RuS | the ωB97M-V functional and the def2-TZVPD basis

```
! wB97M-V def2-TZVPD RIJCOSX def2/J DEFGRID3
* xyz -1 6
Ru 6.2081 -18.9839 -3.6662
F 9.5010 -23.3987 0.6328
C 8.6162 -22.8773 -0.2424
C 8.8683 -21.6311 -0.8340
F 10.0104 -20.9775 -0.5582
C 7.9347 -21.0882 -1.7106
=====
-- Here the page continues --

There are several more status bars on the right side of the screen.

[Fear Bar: 4/100]

[Anger Bar: 5/100]

[Excitement bar: 0/100]

[Rationality: 100/100] (Note: Rationality is not open to readers)

To sum up, it's like joy, anger, sorrow, and happiness, and all the real emotions are open to the monsters who are watching their performance.

When Wen Shi felt a slight palpitation, the fear bar went up one point.

This fear stems from the disclosure of his inner thoughts, and no matter what he says or does, the monsters can make a real judgment based on the numbers.

The monsters in the barrage began the first round of collective ridicule.

They were so calm that they thought a fearless character in the story had really arrived, but it turned out to be nothing more than that.

[Scissor Granny: Tsk, I'm already getting scared before I even reach my destination. I'll listen to Granny and play with scissoring fingers. Hahahaha! ]

[Patient No. 144: I can’t take it anymore. This is so embarrassing. I almost believed what he was saying! ]

My excitement level is zero, so how can I have the nerve to say that I am looking forward to coming here

A few spectators left, and now there are only about eighty left.

Wen Shi: “…”

It is truly the emperor's new clothes.

He calmed down as quickly as possible, a smile appeared on his fair face: "Okay."

If he had to play it this way, he was actually looking forward to this copy.

The excitement bar flickered, then slowly rose a point.

(End of this chapter)